(Assignment)
Please find the line underneath that holds "90.00°,", then echo that line and all lines after it there.
(Contents)
'''
This record from Alexandria via LeMat-Bulk describes a relaxed Ca2SbRu crystal. The functional is PBE.

The value obtained for the formation energy without anion corrections is -30 kJ per mole of atoms. The total magnetization comes out at 0.0 μB/cell. The value obtained for the density of states at the Fermi level is 7.8 states/eV per cell. The calculation puts the electronic total energy at -37.3 eV for the cell shown.

a = 4.2118 Å, b = 4.5953 Å, c = 11.0552 Å
α = 90.00°, β = 90.00°, γ = 90.00°
Positions (direct):
Ca  0.0000  0.0000  0.0000
Ca  0.0000  0.5000  0.5000
Ca  0.5000  0.0000  0.2846
Ca  0.5000  0.5000  0.7846
Sb  0.5000  0.0000  0.5830
Sb  0.5000  0.5000  0.0830
'''
(Written answer)
α = 90.00°, β = 90.00°, γ = 90.00°
Positions (direct):
Ca  0.0000  0.0000  0.0000
Ca  0.0000  0.5000  0.5000
Ca  0.5000  0.0000  0.2846
Ca  0.5000  0.5000  0.7846
Sb  0.5000  0.0000  0.5830
Sb  0.5000  0.5000  0.0830